# Excerpt
- - -
(1)
Material: Al2CrAg
Method: DFT, PBE
State: relaxed

ΔE_f, eV/atom: 0.053
Total energy, eV/atom: -4.9367
Energy above the lowest structure with this stoichiometry, meV/atom: 113
Spin magnetization, μB per cell: 2.284
Symmetry: Imm2

The structure in POSCAR format:
```
Al2CrAg
1.0
-2.8855 -4.2166 1.1788
0.0234 -1.8361 4.9115
-0.9211 4.2399 -2.9445
Al Ag Cr
2 1 1
Cartesian
-2.8584 -6.0449 6.0825
-1.1893 -0.3642 2.5593
-2.6166 -1.4969 0.6351
-1.4119 -2.9859 3.0044
```

***

(2)
Material: PrGa4CuPd2
Method: DFT, PBE
State: relaxed

ΔE_f, eV/atom: -0.538
Total energy, eV/atom: -4.4586
Spin magnetization, μB per cell: 0.000
Symmetry: R-3m

The structure in POSCAR format:
```
PrGa4CuPd2
1.0
4.3060 0.0000 0.0000
2.1530 3.7291 0.0000
2.1530 1.2430 8.8524
Ga Cu Pd Pr
4 1 2 1
Cartesian
4.3060 2.4861 7.0405
4.3060 2.4861 1.8120
2.1530 1.2430 5.3610
6.4590 3.7291 3.4914
4.3060 2.4861 4.4262
6.4590 3.7291 6.2526
2.1530 1.2430 2.5998
0.0000 0.0000 0.0000
```

***

(3)
Material: LaZnRh
Method: DFT, PBE
State: relaxed

ΔE_f, eV/atom: -0.684
Total energy, eV/atom: -5.2017
Spin magnetization, μB per cell: 0.001
Symmetry: Pnma

The structure in POSCAR format:
```
LaZnRh
1.0
-3.9744 0.0466 0.8718
-0.7043 -6.8421 -2.8447
3.1955 -6.5305 14.9163
La Rh Zn
8 8 8
Cartesian
-1.3607 -11.1596 8.6381
-0.7964 -8.1720 11.0505
-0.1225 -2.1665 4.3054
-0.6868 -5.1541 1.8930
-1.4237 -5.8651 8.0674
-0.9242 -1.5530 0.6182
-0.5590 -11.7730 12.3253
-0.0594 -7.4610 4.8761
1.0194 -6.1605 9.7245
-1.3059 -5.4872 -0.9115
1.0845 -10.4342 10.2496
0.2248 -4.4745 6.0119
-2.5026 -7.1655 3.2190
-2.5676 -2.8918 2.6939
-0.1773 -7.8389 13.8551
-1.7079 -8.8515 6.9317
1.6360 -6.4081 12.5485
-2.1232 -4.8125 4.8223
0.6401 -8.5135 8.1212
0.0921 -10.4748 5.7280
-3.1191 -6.9180 0.3950
-3.1431 -3.7880 0.1186
1.6599 -9.5380 12.8249
-1.5753 -2.8513 7.2155
```


1.
# ErPu4O10

A relaxed ErPu4O10 crystal (PBE, the Alexandria database).

Values from the calculation:
ΔE_f (raw) in eV per atom: -3.161

a = 3.7877 Å, b = 3.7877 Å, c = 13.6440 Å
α = 97.98°, β = 97.98°, γ = 90.00°
Last column: nearest neighbours and their distance in Å.
Positions (direct):
O 0.3503 0.8503 0.7005  4 Pu 2.31-2.35
O 0.7500 0.2500 0.5000  4 Pu 2.33
O 0.0514 0.5514 0.1029  2 Pu 2.27, 2 Er 2.34
O 0.9486 0.4486 0.8971  2 Pu 2.27, 2 Er 2.34
O 0.8503 0.3503 0.7005  4 Pu 2.31-2.35
O 0.1497 0.6497 0.2995  4 Pu 2.31-2.35
O 0.5514 0.0514 0.1029  2 Pu 2.27, 2 Er 2.34
O 0.4486 0.9486 0.8971  2 Pu 2.27, 2 Er 2.34
O 0.2500 0.7500 0.5000  4 Pu 2.33
O 0.6497 0.1497 0.2995  4 Pu 2.31-2.35
Pu 0.4020 0.4020 0.8041  8 O 2.27-2.35
Pu 0.1994 0.1994 0.3987  8 O 2.31-2.33
Pu 0.8006 0.8006 0.6013  8 O 2.31-2.33
Pu 0.5980 0.5980 0.1959  8 O 2.27-2.35
Er 0.0000 0.0000 0.0000  8 O 2.34


2.
# RbAg2GeO4

A relaxed RbAg2GeO4 crystal (PBE, the Alexandria database).

Values from the calculation:
ΔE_f (raw) in eV per atom: -0.966

a = 5.8324 Å, b = 5.5521 Å, c = 5.5521 Å
α = 81.73°, β = 58.32°, γ = 58.32°
Last column: nearest neighbours and their distance in Å.
Positions (direct):
Ag 0.0000 0.2989 0.7011  2 O 2.19
Ag 0.0000 0.7011 0.2989  2 O 2.19
Ge 0.5000 0.5000 0.5000  4 O 1.80
O 0.8483 0.4725 0.1841  1 Ge 1.80
O 0.1517 0.8159 0.5275  1 Ge 1.80
O 0.4951 0.1841 0.4725  1 Ge 1.80
O 0.5049 0.5275 0.8159  1 Ge 1.80
Rb 0.5000 0.0000 0.0000  8 O 2.93-2.97


3.
# BaTc2Au

A relaxed BaTc2Au crystal (PBE, the Alexandria database).

Values from the calculation:
Energy above the lowest structure with this stoichiometry in eV per atom: 0.478
Energy of formation from the pure elements in eV/atom: 0.718

a = 10.0500 Å, b = 10.0500 Å, c = 10.0500 Å
α = 17.85°, β = 17.85°, γ = 17.85°
Last column: nearest neighbours and their distance in Å.
Positions (direct):
Ba 0.7493 0.7493 0.7493  6 Ba 3.12, 3 Au 3.39
Tc 0.9818 0.9818 0.9818  3 Tc 2.51
Tc 0.2561 0.2561 0.2561  3 Tc 2.51
Au 0.5128 0.5128 0.5128  3 Tc 2.90, 6 Au 3.12


no.,uncorrected energy (eV/atom),magnetization (μB/cell)
1,-10.59,15.0
2,-4.86,0.0
3,-5.76,0.0


Compound: PaMn2AlO6
- - -
# Exercise
What is needed: search the rows further above for the word "meV" and repeat each line that has it.
# Reply
Energy above the lowest structure with this stoichiometry, meV/atom: 113